WARning : this blog has been commissioned
it is about heroin and it is a fictionalised account
of lives lived in a day
So i’m riding the train to the vietnamese part of town
and its taking forever
yeah i am riding along
maybe you dont recognise me
i was hurled into this world with enough past life baggage
to check into the white hotel for evermore
how the hell would i know what it was..?
but it was something that was a big hassle
i had no screaming esteem
i could not dig myself at all for sure
as the slow old train wound its way to my destination
my self esteem was not picking up any steam
i sat there attacked from all sides by pain ache despair and anxiety
and thats just the stuff you can give names to…
there are the other formless nameless horrors
bearing down on me and it felt like the whole world
finally we get there and i wander around trying to make eye contact with someone
sometimes the dealers actually greeted ya as you got off the train
today they werent there so i walked through the shops
i make eye contact with a vietnamese guy about the same age as me
ie early forties
he sidles over to me gracefully
what you want ? he smiles
i do only hundreds. this is the best stuff you ever had in your life. i promise you!
i nod my head.
i heard that best stuff line a thousand times before
hissed in swedish
guffawed by an irish guy
sneered to me in cockney english
in matter of fact american
an enthusiastic old mexican guy whose stuff actually had been the best
but i am conflicted because this guy looks like he wouldnt have said it
if he didnt mean it
because yeah
he said it with the pride of merchant who knows he has the best fucking merch
i follow him to a restaurant and he bids me wait and pulls up a table and chair
he disappears out the back into the kitchen
the people in the restaurant all watch me sadly as they eat their noodles and chilli
its seems like an eternity that i sit there
the people go on with their low drone of conversation
i guess they all know why i’m here
eventually he comes out and puts down a little square object on the table
two? i say…
he nods and puts another little package down
i give him 200 bucks and i walk back and get on a train home which is even more agonisingly slow
somehow those 2 little packets sitting in the change pocket in my jeans are keeping the lid on things
i take a bus and eventually i get into my empty and neglected house
where children had once played was now only dust and a sullen darkness
my friends never liked me enough and they were gone
the wives and girlfriends had never loved me enough and they were gone
the music had been too loud and my hearing was gone
the sweets had been too sweet and some of my teeth were gone
the money in the bank had been too easy and now it had mostly gone too
still i didnt care
i had snuck a peak at my packets and i knew i was holding the real deal
after crumbling off a bit and tasting it
yeah there was that familiar old bitter taste
up in my room i got the ritual ready
a silver spoon still with this mornings cotton filter in it
i pulled a needle out of the large family sized pack of needles
gotten from the pharmacy up the snobby road
where the pharmacist had visibly winced as he took my cash
because dope users had all kinds of diseases…
anyway i take out the packet and examine my dope
its in this aluminium wrap and it looks like a small caramel square
it is extremely yellow
the most yellow dope i have ever seen in my life
like yellow ochre i want to say from my paint set as a child
yeah definitely yellow ochre
i take about one third of the block and put it in the spoon
it has the consistency of some soft sweet or something
then i draw up half a needle full of water and squirt it into the spoon
then i pull the plunger out of the needle
and with the small black spongy tip
i mix up the yellow dope into the water
until the solid dope is disappeared into the now thick yellowy water
putting the plunger back into the syringe
i throw a tiny cotton wool ball into the spoon
the cotton wool absorbed most of the mixture and turned yellow
i apply the needle to the cotton wool
and from it i suck up all the yellow solution of dope in the spoon
then i fish around in my arm for a vein
there a still a few ok veins left to hit but its getting trickier and trickier
== The entry is interrupted by calculated crystals ==
____________
1.
Diffraction record for K2ZrTa. The XRD peak list is calculated, not measured: it uses a structure optimized by DFT (GGA-PBE) and λ = 1.5418 Å (Cu Kα).
Kinematic intensities with the Lorentz-polarization factor, no thermal factor.

Principal peaks in the range 10° ≤ 2θ ≤ 80°, sorted by position:
| two_theta | I_rel |
| --- | --- |
| 13.95 | 37.2 |
| 21.00 | 14.5 |
| 28.15 | 15.1 |
| 31.59 | 100.0 |
| 35.41 | 70.4 |
| 35.78 | 24.9 |
| 36.50 | 15.9 |
| 40.25 | 23.0 |
| 45.82 | 25.7 |
| 61.69 | 13.9 |

Structure:
```
K2ZrTa
1.0
2.0383 -2.5095 0.0000
2.0383 2.5095 0.0000
0.0000 0.0000 12.6936
K Zr Ta
2 1 1
direct
0.0000 0.0000 0.0000
0.5000 0.5000 0.3294
0.0000 0.0000 0.6016
0.5000 0.5000 0.7531
```

=====

2.
Diffraction record for K3Tb3VTe8. The XRD peak list is calculated, not measured: it uses a structure optimized by DFT (GGA-PBE) and λ = 1.5418 Å (Cu Kα).
Kinematic intensities with the Lorentz-polarization factor, no thermal factor.

Principal peaks in the range 10° ≤ 2θ ≤ 80°, sorted by position:
| two_theta | I_rel |
| --- | --- |
| 10.35 | 66.4 |
| 27.55 | 100.0 |
| 34.22 | 26.8 |
| 36.89 | 32.0 |
| 41.70 | 34.3 |
| 43.08 | 12.3 |
| 45.84 | 17.6 |
| 50.71 | 17.1 |
| 67.67 | 13.1 |
| 70.14 | 10.4 |

Structure:
```
K3Tb3VTe8
1.0
7.5095 -4.3284 0.0000
7.5095 4.3284 0.0000
-5.0131 0.0000 8.5455
K Tb V Te
3 3 1 8
direct
0.0000 0.0000 0.0000
0.0000 0.5000 0.0000
0.5000 0.0000 0.0000
0.0000 0.5000 0.5000
0.5000 0.0000 0.5000
0.5000 0.5000 0.5000
0.0000 0.0000 0.5000
0.2184 0.2184 0.6949
0.2184 0.7582 0.6949
0.2418 0.7816 0.3051
0.2628 0.2628 0.2883
0.7372 0.7372 0.7117
0.7582 0.2184 0.6949
0.7816 0.2418 0.3051
0.7816 0.7816 0.3051
```

=====

3.
Diffraction record for K4Tb3ZrTe8. The XRD peak list is calculated, not measured: it uses a structure optimized by DFT (GGA-PBE) and λ = 1.5418 Å (Cu Kα).
Kinematic intensities with the Lorentz-polarization factor, no thermal factor.

Principal peaks in the range 10° ≤ 2θ ≤ 80°, sorted by position:
| two_theta | I_rel |
| --- | --- |
| 10.69 | 43.8 |
| 27.31 | 100.0 |
| 34.43 | 18.7 |
| 37.26 | 34.7 |
| 40.70 | 36.0 |
| 46.69 | 12.5 |
| 49.71 | 18.5 |
| 56.35 | 10.1 |
| 61.29 | 10.7 |
| 66.12 | 15.3 |

Structure:
```
K4Tb3ZrTe8
1.0
4.4338 2.5599 8.2738
-4.4338 2.5599 8.2738
0.0000 -5.1197 8.2738
K Tb Zr Te
4 3 1 8
direct
0.0000 0.0000 0.0000
0.0000 0.5000 0.5000
0.5000 0.0000 0.5000
0.5000 0.5000 0.0000
0.0000 0.0000 0.5000
0.0000 0.5000 0.0000
0.5000 0.0000 0.0000
0.5000 0.5000 0.5000
0.2374 0.2374 0.2374
0.2469 0.7299 0.7299
0.2701 0.2701 0.7531
0.2701 0.7531 0.2701
0.7299 0.2469 0.7299
0.7299 0.7299 0.2469
0.7531 0.2701 0.2701
0.7627 0.7627 0.7627
```

=====

4.
Diffraction record for KTc8. The XRD peak list is calculated, not measured: it uses a structure optimized by DFT (GGA-PBE) and λ = 1.5418 Å (Cu Kα).
Kinematic intensities with the Lorentz-polarization factor, no thermal factor.

Principal peaks in the range 10° ≤ 2θ ≤ 80°, sorted by position:
| two_theta | I_rel |
| --- | --- |
____________
it takes about 5 or 6 long sweaty minutes
before a small flash of blood appears in the chamber of the needle
i carefully suck up some more blood
which swirls through the yellow dope creating horrifically beautiful shapes
then i push down ever so gently with my thumb as the stuff drains into my vein
a direct injection into my living mainframe
the feeling is overwhelming an exciting rush
it instantly erases every single worry doubt ache cramp nausea anxiety and nightmare
you stagger back and sit on the bed
you dont care that youre alone and unshaven and shabby in this dim messy room
you dont care that tomorrow was another day you gotta somehow find another hundred bucks at least
the rush brings the taste of the dope into the back of your throat
its a bitter medicinal taste but now youve grown to love it
you sit there and in the wake of the rush comes the calm
wow! things arent too bad…i guess…are they..?
oh boy youre so serene and wise and detached and beyond it all
the whispering of the empty house silenced
the murmuring of the voices in your head is gone
your dismal room seems cheery and muted
you just sit there happy content warm and comfortable
you just sit there quiet easy nice soothing
everything is just so cool actually
youve scored some nice dope so fuck the bills and the work and the gossip and all the rest
once you were doing ok and now youre plainly not but fuck all that!
who cares about all that stuff anyway?
and then your head starts to slump and your eyes are starting to close
your nodding and then catching yourself you snap out of it
and yeah youre still sitting on the bed in the dim old room
a stupefaction has come down upon you now
you enter these realms of pure fantasy which last for one millisecond only
but during that millisecond in the dope world time is passing at another rate
you keep snapping out of it and blinking your eyes and youre still sitting on the bed
its 630 pm and its raining outside but outside no longer exists for you
your head falls forward again on your chest
and then you nod right out and curl up on the bed
• Data records that have nothing to do with the article:
********
For SrCd9Ge2, a DFT-relaxed cell (PBE, Alexandria) gives the computed XRD peak list in this record (a wavelength of 1.5418 Å).

Atomic structure:
a b c (Å): 11.779 11.779 8.270
angles (deg): 90.00 90.00 90.00
Space group I4_1/amd (No. 141, origin choice 2)
Asymmetric unit:
Sr (0.000, 0.250, 0.375) x4
Cd (0.000, 0.250, 0.875) x4
Cd (0.121, 0.047, 0.671) x32
Ge (0.000, 0.000, 0.000) x8

The 10 most intense peaks (15 to 90 degrees two-theta), by angle:
| (hkl) | 2θ (°) | I_rel |
| --- | --- | --- |
| 2 0 0 | 15.04 | 16 |
| 3 2 1 | 29.40 | 19 |
| 3 1 2 | 32.35 | 99 |
| 1 0 3 | 33.38 | 30 |
| 4 2 0 | 34.04 | 62 |
| 2 1 3 | 36.80 | 39 |
| 4 0 2 | 37.50 | 16 |
| 5 0 1 | 39.79 | 100 |
| 4 2 2 | 40.61 | 27 |
| 5 5 2 | 59.86 | 31 |

~~~~~

K2LiTaBr6: theoretical PXRD pattern (Cu Kα), based on a DFT-relaxed cell (PBE, the Materials Project).
Kinematic intensities with the Lorentz-polarization factor, no thermal factor.

Top 8 peaks for 2θ = 5–70°, in order of rising 2θ:
2θ 14.32, I = 61
2θ 16.55, I = 68
2θ 27.62, I = 32
2θ 28.88, I = 54
2θ 33.47, I = 100
2θ 37.56, I = 36
2θ 48.06, I = 70
2θ 59.83, I = 24

a = 7.5730 Å, b = 7.5730 Å, c = 7.5730 Å
α = 60.00°, β = 60.00°, γ = 60.00°
Positions (direct):
K 0.2500 0.2500 0.2500
K 0.7500 0.7500 0.7500
Li 0.0000 0.0000 0.0000
Ta 0.5000 0.5000 0.5000
Br 0.2544 0.2544 0.7456
Br 0.2544 0.7456 0.2544
Br 0.2544 0.7456 0.7456
Br 0.7456 0.2544 0.2544
Br 0.7456 0.2544 0.7456
Br 0.7456 0.7456 0.2544

~~~~~

Theoretical XRD peak list of KCuTeBr6 for Cu Kα, from a DFT-relaxed cell (PBE, Alexandria).
Intensities are scaled so that the largest is 100.

Principal peaks in the range 10° ≤ 2θ ≤ 90°, sorted by position:
- 12.34 deg, I = 64, (0 1 0)
- 18.07 deg, I = 34, (1 1 0)
- 20.22 deg, I = 35, (1 -1 1)
- 26.25 deg, I = 100, (1 1 2)
- 27.81 deg, I = 33, (1 -1 2)
- 30.41 deg, I = 40, (2 -1 1)
- 33.52 deg, I = 41, (1 2 2)
- 38.74 deg, I = 37, (2 -2 1)

Structure:
a = 6.8658 Å, b = 7.2291 Å, c = 7.4755 Å
α = 86.69°, β = 62.72°, γ = 82.71°
********
• The data records stop here:
behind your eyes are a million dreams
you seem to walk along this corridor sampling every dream
and every dream is unbelievably fantastic and more real than real
eventually you are dreaming you are this man
and youre married to this beautiful woman
oh boy what a wonderful marriage you have
oh man that woman of your dreams here in your dream and yeah she loves you
well you are a good man and you live your life here in this dream
and you and your wife have one two three handsome sons
and you watch them grow up
and you walk through the snow with them in winter
and through the soft warm sunlight of the dreampt summer
and the boys grow
and your wife loves you
and you fix up your house in the country
hey tho…
maybe its like a hundred years ago or something…
theres even some horses and animals and a war
but you go and fight in the war and you are triumphant and your side always win
when you come home the beautiful wife who youve been married to for like 30 years now
she is still young
the weather is always nice
The page is interrupted by crystal structures
+++
Starting from a DFT-relaxed cell (PBE+U, Alexandria), the powder diffractogram of Mn3FeP4O16 was calculated for copper Kα.
Kinematic intensities with the Lorentz-polarization factor, no thermal factor.

Cell lengths 11.433, 11.433, 4.827 Å; angles 90.33, 90.33, 62.20 degrees
Fractional positions:
Mn (0.000, 0.000, 0.000)
Mn (0.035, 0.532, 0.844)
Mn (0.250, 0.250, 0.335)
Mn (0.284, 0.780, 0.486)
Mn (0.532, 0.035, 0.844)
Mn (0.780, 0.284, 0.486)
Fe (0.505, 0.505, 0.984)
Fe (0.753, 0.753, 0.365)
P (0.094, 0.094, 0.522)
P (0.195, 0.686, 0.021)
P (0.346, 0.346, 0.812)
P (0.444, 0.935, 0.320)
P (0.595, 0.595, 0.525)
P (0.686, 0.195, 0.021)
P (0.843, 0.843, 0.827)
P (0.935, 0.444, 0.320)
O (0.072, 0.379, 0.169)
O (0.082, 0.082, 0.205)
O (0.114, 0.613, 0.077)
O (0.131, 0.824, 0.176)
O (0.161, 0.955, 0.667)
O (0.171, 0.171, 0.572)
O (0.203, 0.700, 0.708)
O (0.208, 0.412, 0.663)
O (0.332, 0.332, 0.127)
O (0.333, 0.619, 0.170)
O (0.365, 0.859, 0.265)
O (0.379, 0.072, 0.169)
O (0.412, 0.208, 0.663)
O (0.423, 0.423, 0.762)
O (0.451, 0.951, 0.636)
O (0.456, 0.659, 0.676)
O (0.583, 0.866, 0.180)
O (0.584, 0.584, 0.210)
O (0.613, 0.114, 0.077)
O (0.619, 0.333, 0.170)
O (0.659, 0.456, 0.676)
O (0.672, 0.672, 0.591)
O (0.700, 0.203, 0.708)
O (0.707, 0.908, 0.669)
O (0.824, 0.131, 0.176)
O (0.833, 0.833, 0.141)
O (0.859, 0.365, 0.265)
O (0.866, 0.583, 0.180)
O (0.908, 0.707, 0.669)
O (0.920, 0.920, 0.771)
O (0.951, 0.451, 0.636)
O (0.955, 0.161, 0.667)

Largest 8 diffraction maxima, by angle, 10 to 80 degrees two-theta:
d 4.895, 18.12°, I 83; d 4.341, 20.46°, I 62; d 4.318, 20.57°, I 55; d 3.492, 25.51°, I 98; d 2.953, 30.27°, I 100; d 2.464, 36.46°, I 50; d 2.452, 36.65°, I 52; d 2.440, 36.84°, I 45

~~~~~

Entry 1:
Diffraction record for PaBeGaCo2. The X-ray diffraction stick pattern is calculated, not measured: it uses DFT lattice parameters and positions (PBE) and CuKα.

Cell and atoms:
```
10
Lattice="2.5129 -6.1639 0.0000 2.5129 6.1639 0.0000 0.0000 0.0000 4.6611" Properties=species:S:1:pos:R:3 pbc="T T T"
Pa 2.5129 3.0819 3.7022
Pa 2.5129 -3.0819 0.9588
Be 1.2564 0.0000 2.3305
Be 3.7693 0.0000 2.3305
Ga 0.0000 0.0000 0.0000
Ga 2.5129 0.0000 0.0000
Co 2.5129 4.3605 1.5762
Co 2.5129 1.8034 1.5762
Co 2.5129 -1.8034 3.0848
Co 2.5129 -4.3605 3.0848
```

Most intense lines, 2θ from 10° to 80°, in order of rising 2θ:
| two_theta | I_rel |
| --- | --- |
| 14.4 | 92 |
| 27.1 | 47 |
| 34.1 | 100 |
| 35.7 | 59 |
| 41.4 | 37 |
| 43.4 | 34 |
| 45.4 | 71 |
| 55.8 | 28 |


Entry 2:
Diffraction record for MoW2Se2S4. The X-ray diffraction stick pattern is calculated, not measured: it uses DFT lattice parameters and positions (PBE) and CuKα.

Cell and atoms:
```
9
Lattice="3.2306 0.0000 0.0000 -1.6153 2.7978 0.0000 0.0000 0.0000 21.9219" Properties=species:S:1:pos:R:3 pbc="T T T"
Mo 0.0000 0.0000 0.0000
W 1.6153 0.9326 7.1578
W 1.6153 0.9326 14.7641
Se 1.6153 0.9326 1.7078
Se 1.6153 0.9326 20.2140
S 0.0000 0.0000 5.5990
S 0.0000 0.0000 8.7166
S 0.0000 0.0000 13.2053
+++
Here the page continues
the daughters in law and grandchildren all love you
everything in your life is happy and righteous and good
friends come over and you sit long into the nights
laughing and eating and drinking and being satisfied
youve been living here in these lovely woods for so long
youve planted all the trees and seen them all grow
you and that lovely wife whose name is always on the tip of your tongue
the fish in the river they are so silvery
the birdsong in the air is glorious
the crowds fluffy on water colour skies and the warming sun
the cooling white moon of the long perfect evenings
the mornings in bed with that gorgeous wonderful obliging wife
man she loves ya all up!
the white sheets the soft eiderdown the moving curtains in the zephyrs of spring
those sweet kisses those lovely sleeps when its all over
yeah you roll out of bed ready for breakfast have a look in the mirror
yeah age has not wearied you brother
you are strong and firm and decent and handsome and popular and kind and good
so many days stretch behind you
so many days stretch away ahead
days full of doing wonderful things
days full of wonder and light and peace and love
the whole world swings through space and the whole universe is in accord
problems you just laugh away
your 3 fine sons and your most gorgeous wife who loves you so much
youve worked so hard for all of this although it seems effortless
on a day like this so perfectly crisp and so immediate and new
if there is a more happy satiated contented man on this earth he would be hard to find
man this goes on for even more years and years and years…
what? click!
suddenly i open your eyes to find its 6.34 on a rainy evening in winter
and im lying on a bed in a cold dim room and theres no one else is home
and theres the needle and theres the spoon and theres the cotton
and a small drop of blood coagulated on my arm
and that whole life i just led is cruelly snatched away
that glorious world where i was a king
and that lovely wife you had and family…
im nothing here just a shabby hopeless dodgy dope fiend and a wretch
bang! its all taken away from ya just like that…
and then just as im thinking about it all i nod off again
and that pleasant memory is nearly almost totally erased
but even through all the next series of dreams
that i will have before the next shot in a few hours time
the incandescent memory of that world burns bright
in some harsh contrast between that world of wonder
and the darkened sad empty dusty rainy evening
which is enveloping us right now
as i lie in the room upstairs in the lonely house
and i start to dream it all again
for JB